____________
107
Properties=species:S:1:pos:R:3 method="wB97M-V/def2-TZVPD" total_energy_ha=-2458.02667 e_lumo_ha=0.013 total_charge=0 de_lowest_kcal_mol=0.0
S -4.50 2.34 5.92
F -3.98 1.41 7.05
O 4.70 -2.69 -0.20
O -5.66 2.98 6.43
O -5.57 -3.28 -0.65
O -0.01 0.19 6.12
O 7.29 0.57 -2.15
O -4.39 0.74 2.08
O 2.97 3.90 -7.54
O -3.39 3.10 5.48
N 4.50 3.00 -5.25
N -4.86 1.20 4.77
N -1.04 -1.00 4.44
N 2.88 -1.91 1.92
N -8.32 -3.03 0.20
N 7.59 2.10 -4.60
C -2.43 -0.73 4.01
C 4.12 -1.18 1.68
C -8.19 -5.09 -1.09
C 9.62 2.45 -3.29
C 7.39 1.98 -2.12
C -4.99 -4.57 -0.57
C -7.99 -3.58 -1.12
C -0.43 0.19 4.99
C 3.79 0.14 0.98
C -5.69 1.24 2.35
C -0.19 -1.51 3.36
C -3.40 -1.56 4.85
C -5.70 1.87 3.75
C 2.20 2.27 -4.90
C -6.60 -3.14 -1.60
C 8.43 -0.13 -1.68
C 8.11 2.60 -3.32
C 2.69 4.40 -6.25
C 3.12 3.47 -5.11
C 2.01 3.01 -8.08
C -4.88 -1.31 4.54
C -6.80 0.20 2.12
C 5.17 -2.02 0.95
C 4.67 -1.90 -1.38
C -5.44 -0.09 5.25
C -0.27 1.39 4.09
H -0.29 -0.91 2.44
H -7.68 -5.54 -0.24
H 9.16 -0.31 -2.48
H -9.25 -5.32 -1.00
H -2.67 0.33 4.10
H 2.20 1.98 -7.79
H -0.47 -2.54 3.14
H 7.85 2.30 -1.18
H 1.63 4.65 -6.16
H -1.00 1.43 3.29
H 7.64 1.09 -4.58
H -8.71 -3.16 -1.84
H 5.12 3.81 -5.28
H -3.21 -1.32 5.90
H -6.74 1.93 4.11
H 3.07 -2.73 2.49
H 2.56 -2.29 1.03
H -4.46 0.00 1.48
H -0.33 2.30 4.69
H 6.05 -1.41 0.70
H 1.15 2.56 -4.93
H 3.15 -0.02 0.12
H 9.92 1.43 -3.56
H -8.29 -2.01 0.14
H 10.03 2.67 -2.30
H -2.52 -1.01 2.95
H -7.62 0.66 1.57
H 8.92 0.41 -0.87
H -5.44 -2.16 4.95
H -5.08 -1.30 3.47
H 2.07 3.08 -9.16
H 2.40 1.81 -3.93
H 6.36 2.34 -2.12
H 3.26 0.80 1.67
H 2.37 1.51 -5.66
H 0.85 -1.49 3.65
H -3.98 -4.45 -0.19
H 7.88 3.67 -3.28
H 8.09 -1.10 -1.31
H -5.34 2.89 3.65
H 10.08 3.12 -4.01
H 3.26 5.33 -6.17
H -6.43 -0.64 1.53
H 4.60 2.58 -6.17
H 1.00 3.29 -7.76
H -7.22 -0.18 3.05
H -5.23 -0.22 6.30
H -6.53 -0.04 5.16
H -6.33 -3.65 -2.54
H 5.49 -1.18 -1.41
H 3.08 4.08 -4.19
H -5.54 -5.23 0.11
H 4.70 0.65 0.65
H 5.51 -2.81 1.63
H -7.81 -5.56 -2.00
H 6.60 2.32 -4.66
H 4.77 -2.58 -2.23
H 0.72 1.35 3.63
H -6.64 -2.06 -1.81
H -3.17 -2.61 4.68
H -7.56 -3.28 0.83
H 3.72 -1.36 -1.49
H 4.55 -0.93 2.66
H -4.95 -5.05 -1.55
H -5.88 2.08 1.67

***

118
Properties=species:S:1:pos:R:3 method="wB97M-V/def2-TZVPD" total_energy_ha=-3754.00977 e_lumo_ha=-0.128 total_charge=+1 de_lowest_kcal_mol=0.0
Pb -2.71 0.25 -1.71
S 0.69 -0.75 0.33
S -1.34 -2.27 -0.25
F 2.13 1.36 0.85
F 0.61 0.97 2.35
F 0.05 1.79 0.43
F -1.58 -1.95 2.38
F -2.27 -3.82 1.58
F -3.47 -2.05 1.31
O -1.59 5.88 0.71
O 5.58 -2.50 3.57
O -4.96 -0.13 -0.04
O 0.93 -1.62 1.42
O -0.41 -3.32 -0.43
O 1.57 -0.83 -0.79
O -2.20 -8.91 1.64
O -2.42 -2.23 -1.26
O 3.99 2.50 -1.60
O -1.33 -0.76 -3.58
N -3.00 2.36 0.18
N 1.19 7.92 -0.75
N 3.71 -0.66 2.37
N -0.86 -0.66 -0.21
N 2.86 4.79 -0.60
N -4.14 -1.26 -3.36
N -0.29 -8.27 -1.43
C -1.42 -6.57 0.00
C 5.75 -1.11 3.74
C -0.82 6.57 -0.26
C 5.13 -0.42 2.55
C -2.63 -10.10 2.22
C 0.11 -0.82 -3.57
C 4.58 3.72 -2.03
C 3.60 1.66 -2.63
C -0.94 4.78 1.26
C -3.70 1.51 1.18
C -6.09 -1.00 0.04
C 4.32 4.76 -0.93
C 0.26 7.46 0.33
C -3.80 2.26 2.52
C -3.72 -0.33 -5.60
C -0.35 8.69 0.96
C 0.92 0.94 1.06
C 5.73 -3.23 4.75
C -2.23 -2.51 1.39
C 5.38 1.07 2.51
C -0.86 -7.97 -0.09
C -1.92 -1.70 -4.47
C -5.07 1.06 0.74
C -3.38 -1.44 -4.62
C 5.09 4.41 0.30
C -1.89 -9.02 0.26
H 4.80 5.05 1.14
H -1.62 4.23 1.92
H -4.23 3.25 2.39
H -1.39 -1.65 -5.42
H 0.25 -9.13 -1.34
H -3.34 0.62 -5.20
H 5.14 1.41 1.51
H -1.97 -10.95 2.03
H -4.78 -0.24 -5.80
H 5.86 -4.28 4.50
H -0.37 5.84 -0.97
H 6.43 1.24 2.75
H 0.35 -7.53 -1.70
H -6.39 -1.21 1.07
H -1.53 7.14 -0.86
H -5.56 1.83 0.13
H 5.57 -0.88 1.65
H -3.05 0.65 1.38
H 0.90 6.91 1.02
H -1.60 -10.04 -0.02
H -2.15 -6.41 -0.81
H 6.17 4.60 0.24
H 4.84 -3.12 5.40
H 4.11 4.01 -2.97
H -0.62 -5.84 0.00
H -1.04 8.40 1.76
H 4.94 3.36 0.54
H -4.35 1.73 3.29
H 2.75 2.10 -3.18
H 3.44 -1.63 2.38
H 4.78 1.54 3.29
H 3.09 -0.12 2.97
H -5.84 -1.92 -0.48
H 4.38 1.52 -3.40
H 3.28 0.66 -2.33
H -3.64 -10.39 1.89
H -0.08 -8.09 0.68
H -2.04 -6.52 0.89
H -3.48 3.25 0.06
H 5.26 -0.82 4.68
H 0.40 9.32 1.44
____________

It remains to reproduce only the lines further above with the word "de_lowest_kcal_mol" in them.

Properties=species:S:1:pos:R:3 method="wB97M-V/def2-TZVPD" total_energy_ha=-2458.02667 e_lumo_ha=0.013 total_charge=0 de_lowest_kcal_mol=0.0
Properties=species:S:1:pos:R:3 method="wB97M-V/def2-TZVPD" total_energy_ha=-3754.00977 e_lumo_ha=-0.128 total_charge=+1 de_lowest_kcal_mol=0.0